Brief
The reader should work out how many lines underneath have the word "energy" in them; a number is enough.

Entries
'''
[1]
Compound: LiZrZn2Re
Source: Alexandria
Functional: PBE-GGA
Structure: relaxed

The calculation puts the calculated total energy at -2.95 eV per atom.

Unit cell a=4.845 b=4.845 c=4.215 alpha=90.00 beta=90.00 gamma=90.00
Space group P4/mmm (No. 123)
Unique sites:
1 Li 0.000 0.000 0.000
2 Zr 0.000 0.000 0.500
3 Zn 0.000 0.500 0.500
4 Re 0.500 0.500 0.000

[2]
Compound: LiZr2Re
Source: Alexandria
Functional: PBE-GGA
Structure: relaxed

The calculation puts the energy above the most stable polymorph in this dataset at 0.512 eV per atom. The calculation puts the calculated total energy at -7.50 eV per atom.

Unit cell a=2.779 b=2.779 c=9.713 alpha=90.00 beta=90.00 gamma=90.00
Space group P4mm (No. 99)
Unique sites:
1 Li 0.000 0.000 0.000
2 Zr 0.000 0.000 0.454
3 Zr 0.500 0.500 0.730
4 Re 0.500 0.500 0.212

no.,N(E_F) (states/eV per atom),total moment (μB/f.u.),calculated formation energy (eV/f.u.)
1,2.6219,0.0,10.7
2,0.8117,0.0,1.5


7
Lattice="4.766 0.000 0.000 0.000 4.766 0.000 -2.383 -2.383 8.957" Properties=species:S:1:pos:R:3 comment="PBE-GGA Pr4HPb2, relaxed" relative_energy_ev_per_fu=0.00 n_ef_per_ev_cell=7.69 vol_a3_per_fu=203 magmom_total_mub_per_atom=0.010 pbc="T T T"
Pb 0.000 0.000 6.479
Pb 2.383 2.383 2.478
H 0.000 0.000 0.000
Pr 2.383 2.383 5.763
Pr 0.000 2.383 0.000
Pr 0.000 0.000 3.194
Pr 2.383 0.000 0.000

5
Lattice="-1.882 -0.439 4.319 0.429 -4.703 -0.291 4.320 0.276 1.911" Properties=species:S:1:pos:R:3 comment="PBE-GGA HfBe3In, relaxed" relative_energy_ev_per_fu=2.33 n_ef_per_ev_cell=2.93 vol_a3_per_fu=106 ef_mev_per_atom=1563 magmom_total_mub_per_atom=0.000 pbc="T T T"
Be 2.160 0.138 0.955
Hf 0.000 0.000 0.000
In 1.433 -2.433 2.969
Be 0.215 -2.351 -0.145
Be -0.941 -0.220 2.159

10
Lattice="-4.287 2.237 0.212 -1.721 -2.975 -3.408 -3.748 -8.028 8.903" Properties=species:S:1:pos:R:3 comment="PBE-GGA Sr2Mg4InPb3, relaxed" n_ef_per_ev_cell=3.17 vol_a3_per_fu=294 ef_mev_per_atom=-303 magmom_total_mub_per_atom=0.000 pbc="T T T"
Sr -3.656 -7.477 4.938
Pb -1.874 -4.014 4.452
Mg -3.004 -0.369 -1.598
Mg 0.000 0.000 0.000
In -4.878 -4.383 2.854
Mg -2.227 -4.414 1.542
Pb -5.370 -5.793 7.770
Mg -4.525 -3.983 5.764
Pb -1.382 -2.605 -0.465
Sr -3.095 -0.921 2.367

5
Lattice="-0.360 4.473 1.797 -3.975 -2.373 -1.391 -0.617 -2.407 5.867" Properties=species:S:1:pos:R:3 comment="PBE-GGA HfZr2Sc2, relaxed" relative_energy_ev_per_fu=1.83 n_ef_per_ev_cell=7.20 vol_a3_per_fu=129 ef_mev_per_atom=406 magmom_total_mub_per_atom=0.000 pbc="T T T"
Zr -1.565 2.191 0.734
Hf -2.770 -0.091 -0.329
Sc -0.144 -0.562 1.370
Zr -3.078 -1.294 2.605
Sc -0.473 -1.845 4.497
'''

Outcome
3